== Material ==
........
[1]
GdCoB4 | GGA-PBE | optimized geometry

Computed properties:
**Space group**: Pbam, No. 55

Lattice parameters (Å, degrees): 3.4041 5.9223 11.4776 90.00 90.00 90.00
With the nearest neighbours (Å) after each atom.
Fractional coordinates of all 24 atoms:
Gd 0.0000 0.3725 0.6501  14 B 2.59-2.72
Gd 0.0000 0.6275 0.3499  14 B 2.59-2.72
Gd 0.0000 0.8725 0.8499  14 B 2.59-2.72
Gd 0.0000 0.1275 0.1501  14 B 2.59-2.72
Co 0.0000 0.3654 0.9111  10 B 2.20-2.30
Co 0.0000 0.6346 0.0889  10 B 2.20-2.30
Co 0.0000 0.8654 0.5889  10 B 2.20-2.30
Co 0.0000 0.1346 0.4111  10 B 2.20-2.30
B 0.5000 0.0219 0.6898  3 B 1.74-1.86
B 0.5000 0.9781 0.3102  3 B 1.74-1.86
B 0.5000 0.5219 0.8102  3 B 1.74-1.86
B 0.5000 0.4781 0.1898  3 B 1.74-1.86
B 0.5000 0.1110 0.5458  3 B 1.68-1.74
B 0.5000 0.8890 0.4542  3 B 1.68-1.74
B 0.5000 0.6110 0.9542  3 B 1.68-1.74
B 0.5000 0.3890 0.0458  3 B 1.68-1.74
B 0.5000 0.2814 0.3161  3 B 1.80-1.86
B 0.5000 0.7186 0.6839  3 B 1.80-1.86
B 0.5000 0.7814 0.1839  3 B 1.80-1.86
B 0.5000 0.2186 0.8161  3 B 1.80-1.86
B 0.5000 0.3600 0.4672  3 B 1.73-1.82
B 0.5000 0.6400 0.5328  3 B 1.73-1.82
B 0.5000 0.8600 0.0328  3 B 1.73-1.82
B 0.5000 0.1400 0.9672  3 B 1.73-1.82

=====

[2]
Gd3Co11B4 | GGA-PBE | optimized geometry

Computed properties:
**Space group**: P6/mmm, No. 191

Lattice parameters (Å, degrees): 5.0651 5.0651 9.7784 90.00 90.00 120.00
With the nearest neighbours (Å) after each atom.
Fractional coordinates of all 18 atoms:
Gd 0.0000 0.0000 0.6576  12 Co 2.88-2.96, 6 B 2.92, 1 Gd 3.08
Gd 0.0000 0.0000 0.3424  12 Co 2.88-2.96, 6 B 2.92, 1 Gd 3.08
Gd 0.0000 0.0000 0.0000  18 Co 2.92-3.22
Co 0.0000 0.5000 0.7974  2 B 2.04
Co 0.5000 0.5000 0.7974  2 B 2.04
Co 0.5000 0.0000 0.2026  2 B 2.04
Co 0.6667 0.3333 0.0000  6 Co 2.46
Co 0.0000 0.5000 0.2026  2 B 2.04
Co 0.5000 0.0000 0.7974  2 B 2.04
Co 0.5000 0.5000 0.2026  2 B 2.04
Co 0.5000 0.5000 0.5000  4 B 2.08
Co 0.3333 0.6667 0.0000  6 Co 2.46
Co 0.5000 0.0000 0.5000  4 B 2.08
Co 0.0000 0.5000 0.5000  4 B 2.08
B 0.6667 0.3333 0.6516  6 Co 2.04-2.08
B 0.3333 0.6667 0.3484  6 Co 2.04-2.08
B 0.3333 0.6667 0.6516  6 Co 2.04-2.08
B 0.6667 0.3333 0.3484  6 Co 2.04-2.08

=====

Energy of formation from the pure elements, respectively: -0.559; -0.343 eV per atom.
........

== Wanted ==
Restate all of the notes further above with every line break kept, please.

== Completed ==
[1]
GdCoB4 | GGA-PBE | optimized geometry

Computed properties:
**Space group**: Pbam, No. 55

Lattice parameters (Å, degrees): 3.4041 5.9223 11.4776 90.00 90.00 90.00
With the nearest neighbours (Å) after each atom.
Fractional coordinates of all 24 atoms:
Gd 0.0000 0.3725 0.6501  14 B 2.59-2.72
Gd 0.0000 0.6275 0.3499  14 B 2.59-2.72
Gd 0.0000 0.8725 0.8499  14 B 2.59-2.72
Gd 0.0000 0.1275 0.1501  14 B 2.59-2.72
Co 0.0000 0.3654 0.9111  10 B 2.20-2.30
Co 0.0000 0.6346 0.0889  10 B 2.20-2.30
Co 0.0000 0.8654 0.5889  10 B 2.20-2.30
Co 0.0000 0.1346 0.4111  10 B 2.20-2.30
B 0.5000 0.0219 0.6898  3 B 1.74-1.86
B 0.5000 0.9781 0.3102  3 B 1.74-1.86
B 0.5000 0.5219 0.8102  3 B 1.74-1.86
B 0.5000 0.4781 0.1898  3 B 1.74-1.86
B 0.5000 0.1110 0.5458  3 B 1.68-1.74
B 0.5000 0.8890 0.4542  3 B 1.68-1.74
B 0.5000 0.6110 0.9542  3 B 1.68-1.74
B 0.5000 0.3890 0.0458  3 B 1.68-1.74
B 0.5000 0.2814 0.3161  3 B 1.80-1.86
B 0.5000 0.7186 0.6839  3 B 1.80-1.86
B 0.5000 0.7814 0.1839  3 B 1.80-1.86
B 0.5000 0.2186 0.8161  3 B 1.80-1.86
B 0.5000 0.3600 0.4672  3 B 1.73-1.82
B 0.5000 0.6400 0.5328  3 B 1.73-1.82
B 0.5000 0.8600 0.0328  3 B 1.73-1.82
B 0.5000 0.1400 0.9672  3 B 1.73-1.82

=====

[2]
Gd3Co11B4 | GGA-PBE | optimized geometry

Computed properties:
**Space group**: P6/mmm, No. 191

Lattice parameters (Å, degrees): 5.0651 5.0651 9.7784 90.00 90.00 120.00
With the nearest neighbours (Å) after each atom.
Fractional coordinates of all 18 atoms:
Gd 0.0000 0.0000 0.6576  12 Co 2.88-2.96, 6 B 2.92, 1 Gd 3.08
Gd 0.0000 0.0000 0.3424  12 Co 2.88-2.96, 6 B 2.92, 1 Gd 3.08
Gd 0.0000 0.0000 0.0000  18 Co 2.92-3.22
Co 0.0000 0.5000 0.7974  2 B 2.04
Co 0.5000 0.5000 0.7974  2 B 2.04
Co 0.5000 0.0000 0.2026  2 B 2.04
Co 0.6667 0.3333 0.0000  6 Co 2.46
Co 0.0000 0.5000 0.2026  2 B 2.04
Co 0.5000 0.0000 0.7974  2 B 2.04
Co 0.5000 0.5000 0.2026  2 B 2.04
Co 0.5000 0.5000 0.5000  4 B 2.08
Co 0.3333 0.6667 0.0000  6 Co 2.46
Co 0.5000 0.0000 0.5000  4 B 2.08
Co 0.0000 0.5000 0.5000  4 B 2.08
B 0.6667 0.3333 0.6516  6 Co 2.04-2.08
B 0.3333 0.6667 0.3484  6 Co 2.04-2.08
B 0.3333 0.6667 0.6516  6 Co 2.04-2.08
B 0.6667 0.3333 0.3484  6 Co 2.04-2.08

=====

Energy of formation from the pure elements, respectively: -0.559; -0.343 eV per atom.